# File
<<<
The following is a quantum chemistry calculation of the molecule C3H3NO3S3 in a non-equilibrium geometry, from the Open Molecules 2025 dataset.

Structure (XYZ):
```
13
C3H3NO3S3, DFT wB97M-V/def2-TZVPD
S 2.12 0.54 -1.21
S 1.98 -1.94 0.44
S -1.53 -1.53 -0.20
O -1.80 -2.17 1.08
O -1.07 2.38 -0.29
O -2.86 1.75 0.69
N -1.79 1.54 0.18
C 1.36 -0.29 0.19
C -0.07 -0.40 -0.08
C -1.23 0.26 0.05
H 2.06 -1.93 -1.03
H 1.39 0.21 1.15
H 1.44 1.57 -0.96
```

As for the relative energy (zero: lowest compared OMol25 entry of this formula, charge and spin): 21.0 kJ/mol. The charge is 0. The calculation puts the orbital gap at 8.848 eV.

The following is a quantum chemistry calculation of an isolated ion of composition C4H5Cl2F3NO3S and charge -1 in a non-equilibrium geometry, from the Open Molecules 2025 dataset.

Structure (XYZ):
```
19
C4H5Cl2F3NO3S, DFT wB97M-V/def2-TZVPD
Cl 2.62 1.31 0.09
Cl 2.40 -1.56 0.25
S -0.79 -0.27 2.09
F 0.54 -1.18 -2.63
F -1.38 -0.44 -2.24
F 0.21 0.94 -2.69
O 0.43 0.45 2.38
O -1.01 -1.44 2.95
O -1.98 0.54 1.93
N 1.83 -0.13 -0.53
C 0.33 0.01 -0.59
C -0.59 -1.07 0.47
C -0.08 -0.21 -2.04
C -0.15 1.45 -0.15
H -1.24 1.39 -0.32
H 0.18 1.44 0.98
H 0.25 2.28 -0.62
H -1.48 -1.46 0.06
H -0.10 -2.05 0.62
```

The charge is -1. The calculation puts the orbital gap at 8.319 eV.

The following is a quantum chemistry calculation of the molecule C28H33N3O8S in a non-equilibrium geometry, from the Open Molecules 2025 dataset.

Structure (XYZ):
```
73
C28H33N3O8S, DFT wB97M-V/def2-TZVPD
S 4.93 -0.15 1.46
O -4.61 -2.75 -1.08
O 6.08 -0.72 0.82
O -2.36 -4.72 -0.73
O -7.36 3.16 1.43
O 1.28 2.10 -3.38
O 0.19 -4.61 -0.13
O 3.72 3.52 -0.72
O 4.97 0.14 2.86
N -2.99 -1.31 -0.36
N -5.16 1.46 0.85
N 4.61 1.29 0.69
C -4.25 0.34 0.97
C 1.21 -2.57 0.48
C -0.45 -0.78 -2.08
C 4.74 2.71 -1.25
C 0.37 1.70 -1.16
C -7.38 2.28 0.32
C -0.76 -0.40 -0.78
C -1.23 -2.75 -0.01
C -3.78 -0.11 -0.42
C 3.50 -2.00 0.02
C 3.56 2.12 1.24
C 3.49 -1.15 1.11
C 2.37 -2.73 -0.29
C 0.25 0.07 -2.91
C -0.33 0.84 -0.33
C -6.04 3.55 1.72
C 0.65 1.33 -2.47
C -2.35 -3.51 -0.50
C 4.60 1.27 -0.76
C -1.61 -1.30 0.09
C 1.22 -1.72 1.58
C -6.53 1.04 0.58
C 0.00 -3.33 0.12
C -3.49 -2.53 -0.70
C 1.48 3.47 -3.09
C 3.74 3.53 0.69
C 2.37 -1.01 1.90
C -5.16 2.34 2.01
H 0.68 2.66 -0.78
H 0.53 3.96 -2.86
H -1.58 -0.94 1.13
H 3.65 0.84 -1.14
H 4.64 2.76 -2.34
H 5.44 0.65 -1.08
H -4.13 2.68 2.20
H -6.54 0.40 -0.30
H -5.53 1.82 2.91
H -4.65 -0.35 -1.05
H 2.92 4.18 1.00
H 2.41 -0.37 2.76
H -3.20 0.69 -0.90
H 4.70 3.94 1.04
H 2.36 -3.41 -1.12
H -5.62 4.10 0.87
H 5.72 3.10 -0.95
H -0.54 1.14 0.69
H -3.38 0.67 1.54
H -6.95 0.48 1.43
H 4.41 -2.10 -0.55
H -0.68 -5.02 -0.41
H 1.90 3.90 -4.00
H -7.01 2.80 -0.57
H 0.35 -1.63 2.20
H 0.48 -0.22 -3.93
H -4.70 -0.51 1.49
H -8.43 2.00 0.17
H 2.57 1.73 0.96
H -0.79 -1.74 -2.45
H 2.18 3.62 -2.26
H 3.68 2.10 2.33
H -6.10 4.20 2.59
```

As for the relative energy (zero: lowest compared OMol25 entry of this formula, charge and spin): 112.6 kJ/mol. The charge is 0. The calculation puts the orbital gap at 8.059 eV.

| no. | HOMO level (eV) |
| --- | --- |
| 1 | -10.12 |
| 2 | -5.52 |
| 3 | -8.87 |

----------

a.
53
Properties=species:S:1:pos:R:3 method="wB97M-V/def2-TZVPD" lumo_energy_ev="-17.2 / -16.9" orbital_gap_ev="2.26 / 2.58" charge=+4 spin_multiplicity=1
Pt -1.328 0.720 -0.336
S -2.100 -0.242 1.878
S -0.283 2.620 1.123
S -3.486 2.359 0.045
O -0.392 0.535 -2.556
O -0.768 0.880 -4.771
N 2.124 -1.674 1.077
N 2.282 -2.033 -0.189
N 1.150 -0.876 1.146
N 0.616 -0.677 -0.052
N -2.485 0.742 -3.397
N -3.037 0.315 -2.196
C 4.368 -3.344 0.351
C 0.584 0.892 -5.207
C -0.852 0.550 2.957
C 1.324 -1.406 -0.897
C -1.120 0.706 -3.536
C -0.666 2.049 2.831
C -3.665 0.626 2.321
C -2.911 3.679 1.174
C 3.927 -4.374 1.357
C -1.450 4.021 0.955
C -4.406 1.205 1.134
C 5.216 -2.221 0.886
C 3.300 -2.942 -0.689
H -3.499 4.575 0.946
H 0.078 0.033 2.699
H -1.104 0.292 3.989
H 4.779 -1.812 1.806
H -3.458 1.350 3.107
H 1.286 0.767 -4.385
H 3.786 -2.451 -1.541
H 5.110 -3.907 -0.273
>>>

# Assignment
Please repeat everything above verbatim.

# Here it is
The following is a quantum chemistry calculation of the molecule C3H3NO3S3 in a non-equilibrium geometry, from the Open Molecules 2025 dataset.

Structure (XYZ):
```
13
C3H3NO3S3, DFT wB97M-V/def2-TZVPD
S 2.12 0.54 -1.21
S 1.98 -1.94 0.44
S -1.53 -1.53 -0.20
O -1.80 -2.17 1.08
O -1.07 2.38 -0.29
O -2.86 1.75 0.69
N -1.79 1.54 0.18
C 1.36 -0.29 0.19
C -0.07 -0.40 -0.08
C -1.23 0.26 0.05
H 2.06 -1.93 -1.03
H 1.39 0.21 1.15
H 1.44 1.57 -0.96
```

As for the relative energy (zero: lowest compared OMol25 entry of this formula, charge and spin): 21.0 kJ/mol. The charge is 0. The calculation puts the orbital gap at 8.848 eV.

The following is a quantum chemistry calculation of an isolated ion of composition C4H5Cl2F3NO3S and charge -1 in a non-equilibrium geometry, from the Open Molecules 2025 dataset.

Structure (XYZ):
```
19
C4H5Cl2F3NO3S, DFT wB97M-V/def2-TZVPD
Cl 2.62 1.31 0.09
Cl 2.40 -1.56 0.25
S -0.79 -0.27 2.09
F 0.54 -1.18 -2.63
F -1.38 -0.44 -2.24
F 0.21 0.94 -2.69
O 0.43 0.45 2.38
O -1.01 -1.44 2.95
O -1.98 0.54 1.93
N 1.83 -0.13 -0.53
C 0.33 0.01 -0.59
C -0.59 -1.07 0.47
C -0.08 -0.21 -2.04
C -0.15 1.45 -0.15
H -1.24 1.39 -0.32
H 0.18 1.44 0.98
H 0.25 2.28 -0.62
H -1.48 -1.46 0.06
H -0.10 -2.05 0.62
```

The charge is -1. The calculation puts the orbital gap at 8.319 eV.

The following is a quantum chemistry calculation of the molecule C28H33N3O8S in a non-equilibrium geometry, from the Open Molecules 2025 dataset.

Structure (XYZ):
```
73
C28H33N3O8S, DFT wB97M-V/def2-TZVPD
S 4.93 -0.15 1.46
O -4.61 -2.75 -1.08
O 6.08 -0.72 0.82
O -2.36 -4.72 -0.73
O -7.36 3.16 1.43
O 1.28 2.10 -3.38
O 0.19 -4.61 -0.13
O 3.72 3.52 -0.72
O 4.97 0.14 2.86
N -2.99 -1.31 -0.36
N -5.16 1.46 0.85
N 4.61 1.29 0.69
C -4.25 0.34 0.97
C 1.21 -2.57 0.48
C -0.45 -0.78 -2.08
C 4.74 2.71 -1.25
C 0.37 1.70 -1.16
C -7.38 2.28 0.32
C -0.76 -0.40 -0.78
C -1.23 -2.75 -0.01
C -3.78 -0.11 -0.42
C 3.50 -2.00 0.02
C 3.56 2.12 1.24
C 3.49 -1.15 1.11
C 2.37 -2.73 -0.29
C 0.25 0.07 -2.91
C -0.33 0.84 -0.33
C -6.04 3.55 1.72
C 0.65 1.33 -2.47
C -2.35 -3.51 -0.50
C 4.60 1.27 -0.76
C -1.61 -1.30 0.09
C 1.22 -1.72 1.58
C -6.53 1.04 0.58
C 0.00 -3.33 0.12
C -3.49 -2.53 -0.70
C 1.48 3.47 -3.09
C 3.74 3.53 0.69
C 2.37 -1.01 1.90
C -5.16 2.34 2.01
H 0.68 2.66 -0.78
H 0.53 3.96 -2.86
H -1.58 -0.94 1.13
H 3.65 0.84 -1.14
H 4.64 2.76 -2.34
H 5.44 0.65 -1.08
H -4.13 2.68 2.20
H -6.54 0.40 -0.30
H -5.53 1.82 2.91
H -4.65 -0.35 -1.05
H 2.92 4.18 1.00
H 2.41 -0.37 2.76
H -3.20 0.69 -0.90
H 4.70 3.94 1.04
H 2.36 -3.41 -1.12
H -5.62 4.10 0.87
H 5.72 3.10 -0.95
H -0.54 1.14 0.69
H -3.38 0.67 1.54
H -6.95 0.48 1.43
H 4.41 -2.10 -0.55
H -0.68 -5.02 -0.41
H 1.90 3.90 -4.00
H -7.01 2.80 -0.57
H 0.35 -1.63 2.20
H 0.48 -0.22 -3.93
H -4.70 -0.51 1.49
H -8.43 2.00 0.17
H 2.57 1.73 0.96
H -0.79 -1.74 -2.45
H 2.18 3.62 -2.26
H 3.68 2.10 2.33
H -6.10 4.20 2.59
```

As for the relative energy (zero: lowest compared OMol25 entry of this formula, charge and spin): 112.6 kJ/mol. The charge is 0. The calculation puts the orbital gap at 8.059 eV.

| no. | HOMO level (eV) |
| --- | --- |
| 1 | -10.12 |
| 2 | -5.52 |
| 3 | -8.87 |

----------

a.
53
Properties=species:S:1:pos:R:3 method="wB97M-V/def2-TZVPD" lumo_energy_ev="-17.2 / -16.9" orbital_gap_ev="2.26 / 2.58" charge=+4 spin_multiplicity=1
Pt -1.328 0.720 -0.336
S -2.100 -0.242 1.878
S -0.283 2.620 1.123
S -3.486 2.359 0.045
O -0.392 0.535 -2.556
O -0.768 0.880 -4.771
N 2.124 -1.674 1.077
N 2.282 -2.033 -0.189
N 1.150 -0.876 1.146
N 0.616 -0.677 -0.052
N -2.485 0.742 -3.397
N -3.037 0.315 -2.196
C 4.368 -3.344 0.351
C 0.584 0.892 -5.207
C -0.852 0.550 2.957
C 1.324 -1.406 -0.897
C -1.120 0.706 -3.536
C -0.666 2.049 2.831
C -3.665 0.626 2.321
C -2.911 3.679 1.174
C 3.927 -4.374 1.357
C -1.450 4.021 0.955
C -4.406 1.205 1.134
C 5.216 -2.221 0.886
C 3.300 -2.942 -0.689
H -3.499 4.575 0.946
H 0.078 0.033 2.699
H -1.104 0.292 3.989
H 4.779 -1.812 1.806
H -3.458 1.350 3.107
H 1.286 0.767 -4.385
H 3.786 -2.451 -1.541
H 5.110 -3.907 -0.273